It is possible to make too much of the riots that have taken place this month in Morocco, Algeria, Tunisia, Egypt, Yemen and Jordan, the more so because much of the unrest has its roots in different causes which have existed for months, if not years; these are certainly not the first riots to have broken out in these countries.
An important common underlying cause of the discontent and unrest, however, is the high level of unemployment in this region, coupled with stagnant economies, creating few jobs, leaving the younger members of society without any hope for the future; another is the rocketing prices of staple foodstuffs such as sugar and bread.
However, if there is a social element to the discontent, there is also a political one. Autocratic regimes, accused of being steeped in corruption and trafficking of influences, seen as having lost touch with the population, are confronted with a shockwave of popular indignation - or fury - exacerbated by the difficult living conditions. A clear example of the extent to which the regimes have lost touch with reality is provided by Egypt, where the authorities claimed that the kind of widespread unrest which took place in Tunisia would never happen. Three days later...
The end result can only be that things will never be the same again for the region and for the way it is governed, due to the fact that the status quo has changed. In Tunisia, the Islamic leader Rachid Ghannouchi has been welcomed by thousands of well-wishers at Tunis airport, after returning from a 22-year exile; in Egypt the Opposition leader Mohammed El Baradei appeared in Tahrir Square, calling for President Mubarak to step down. The question is also posed whether the Islamic Brotherhood will see itself in an enhanced role amid the turmoil.
What is different about the current situation is that the rioting has reached a political level. First, Tunisia's President Zine al-Abidine Ben Ali was forced to flee the country after 23 years in power, now Hosni Mubarak clings desperately on to the reigns of his crumbling regime, having been forced to dismiss the Government and having seen any chance of a further term as President - or a first term for his son Gamal - disappear.
A further question is raised as to the accuracy of election results, today so hotly contested in Egypt with claims of electoral fraud back in 2005, yet Hosni Mubarak won with 88.6 per cent of the vote, just as Ben Ali won the Presidential election in Tunisia in 2009 with 89.62%. Parliamentary elections in Egypt last year were fraught with allegations of vote-tampering and harassment of opposition candidates.
The wider issue
Those looking for an anti-West, anti-Israel element in the demonstrations did not find one. The television images did not show a single American flag being burned and there was no evidence of an international element to the popular uprisings, the concerns being local and economic, as mentioned above.
However, the fact that many of the leaders in the region sit upon regimes which have been in power for decades means that the status quo, which at least has maintained peace and stability in the region, is not at risk. For example, Hosni Mubarak's Egypt has been instrumental in the Middle East peace process and Cairo maintains a good working relationship with Tel Aviv. In Yemen, where violent demonstrations have taken place in the capital, Sana'a, calling for a change of Government, the 30-year rule of President Ali Abdullah Saleh - a key US ally against Al Qaeda - is equally threatened.
It remains to be seen whether the measures frantically rushed through the legislation mechanisms by the frightened regimes in Algeria, Tunisia, Egypt, Yemen and Jordan (the countries most affected) to placate the popular fury will be enough. It also remains to be seen what happens next as regards who is involved in government.
To date, the Islamists have been keeping a low profile - in Egypt the Islamic Brotherhood has stressed that the uprising has nothing to do with the movement and everything to do with an outpouring of frustration by the country's youth - making up two-thirds of the population and representing 90% of the unemployed. Nevertheless, the Brotherhood exists and its goals are a state based upon Islamic law.
How far the unrest spreads, and whether or not it reaches the Gulf States, is a question that only time will answer. And if that happens, with the Islamists on board, the political map of the Middle East may change drastically, and will certainly not be in the interests of Washington and its ally, Israel.
Someone pasted records of crystals at this point:
____________
Run 1
The following is a PBE calculation of crystalline La3CBr at its relaxed geometry, from Alexandria.

a = 5.5250 Å, b = 7.8580 Å, c = 6.8954 Å
α = 90.00°, β = 104.60°, γ = 90.00°
With the nearest neighbours (Å) after each atom.
Element x y z (fractional)
La  0.0010  0.2500  0.0015  2 C 2.76-2.77
La  0.3975  0.0002  0.7462  2 C 2.60
La  0.3975  0.4998  0.7462  2 C 2.60
La  0.6025  0.9998  0.2538  2 C 2.60
La  0.6025  0.5002  0.2538  2 C 2.60
La  0.9990  0.7500  0.9985  2 C 2.76-2.77
C  0.5001  0.2500  0.0007  6 La 2.60-2.77
C  0.4999  0.7500  0.9993  6 La 2.60-2.77
Br  0.0019  0.7500  0.4985  6 La 3.11-3.45
Br  0.9981  0.2500  0.5015  6 La 3.11-3.45


Run 2
The following is a PBE calculation of crystalline La3CBr at its relaxed geometry, from Alexandria.

a = 5.2295 Å, b = 5.2295 Å, c = 5.2295 Å
α = 90.00°, β = 90.00°, γ = 90.00°
With the nearest neighbours (Å) after each atom.
Element x y z (fractional)
La  0.0000  0.0000  0.5000  2 C 2.61
La  0.0000  0.5000  0.0000  2 C 2.61
La  0.5000  0.0000  0.0000  2 C 2.61
C  0.0000  0.0000  0.0000  6 La 2.61
Br  0.5000  0.5000  0.5000  12 La 3.70


Energy comparison, zero being the most stable, in eV/atom: run 1 0.000; run 2 0.237.


Run 1
The following is a PBE calculation of crystalline LaC3Br at its relaxed geometry, from Alexandria.

a = 4.8640 Å, b = 4.8640 Å, c = 4.8640 Å
α = 90.00°, β = 90.00°, γ = 90.00°
With the nearest neighbours (Å) after each atom.
Element x y z (fractional)
La  0.0000  0.0000  0.0000  6 C 2.43
C  0.0000  0.0000  0.5000  2 La 2.43
C  0.0000  0.5000  0.0000  2 La 2.43
C  0.5000  0.0000  0.0000  2 La 2.43
Br  0.5000  0.5000  0.5000  12 C 3.44


Run 2
The following is a PBE calculation of crystalline LaC3Br at its relaxed geometry, from Alexandria.

a = 4.1793 Å, b = 4.1793 Å, c = 4.1793 Å
α = 90.00°, β = 90.00°, γ = 90.00°
With the nearest neighbours (Å) after each atom.
Element x y z (fractional)
La  0.0000  0.0000  0.0000  12 C 2.96
C  0.0000  0.5000  0.5000  2 Br 2.09
C  0.5000  0.0000  0.5000  2 Br 2.09
C  0.5000  0.5000  0.0000  2 Br 2.09
Br  0.5000  0.5000  0.5000  6 C 2.09


Energy comparison, zero being the most stable, in eV/atom: run 1 0.680; run 2 0.000.


Run 1
The following is a PBE calculation of crystalline LaCSe2Br at its relaxed geometry, from Alexandria.

a = 4.6608 Å, b = 4.6608 Å, c = 4.7511 Å
α = 90.00°, β = 90.00°, γ = 90.00°
With the nearest neighbours (Å) after each atom.
Element x y z (fractional)
La  0.0000  0.0000  0.0000  4 Br 3.30, 8 Se 3.33
C  0.5000  0.5000  0.5000  4 Se 2.33, 2 Br 2.38
Se  0.0000  0.5000  0.5000  2 C 2.33
Se  0.5000  0.0000  0.5000  2 C 2.33
Br  0.5000  0.5000  0.0000  2 C 2.38


Run 2
The following is a PBE calculation of crystalline LaCSe2Br at its relaxed geometry, from Alexandria.

a = 5.9292 Å, b = 5.9292 Å, c = 5.7648 Å
α = 90.00°, β = 90.00°, γ = 90.00°
With the nearest neighbours (Å) after each atom.
Element x y z (fractional)
La  0.0000  0.0000  0.0000  2 Br 2.88, 4 Se 2.96
____________
Timothy Bancroft-Hinchey